Credit Cards knowing this can save you when choosing one
Posted by Nick Niesen on October 29th, 2010
When it comes to credit cards there are so many choices out there it can be really confusing when trying to determine which credit card is the best choice. We are all different with different likes and different habits and credit card companies know this, and have created card fee structures that differ according to peoples habits and circumstances. While a specific card might be perfect for one person, it might not be as desirable for another, and might even hurt that person financially because there habits or circumstances are such that they are incurring fee's that they wouldn't be incurring had they selected a different card. In consideration of the last sentence we really need to identify these habits and circumstances, and then take an honest evaluation of ourselves to see which habits or circumstances we practice or have. At this point we will be able to better identify the credit card that makes the most sense. In adition to this we will be able to see that different use strategies are appropriate for different habits and circumstances. While there are many habits to examine there are two primary habits that need to be examined first because they the have the most impact on how we should choose, after that we will examine other habits and circumstances.
An outline of habits and circumstances as they relate to credit card holders
Here the entry breaks off for crystal structures:
'''
# 1
Structure and theoretical powder diffractogram of Tm2In5Rh3 (a GGA-PBE-relaxed structure; Cu Kα (λ = 1.5418 Å)).
Kinematic intensities with the Lorentz-polarization factor, no thermal factor.

Largest 10 diffraction maxima, by angle, 15 to 90 degrees two-theta:
h k l  two_theta  intensity
1 1 2  32.13  28.6
1 7 1  33.62  100.0
0 10 1  36.19  20.3
1 5 2  36.30  11.8
1 9 0  36.86  15.9
2 0 0  41.15  33.7
0 6 3  42.54  13.2
1 3 3  43.85  10.7
2 10 1  55.94  11.8
3 7 1  70.21  11.5

Crystal structure
```
data_Tm2In5Rh3
_space_group_name_H-M_alt 'C m c 21'
_space_group_IT_number 36
_space_group_name_Hall 'C 2c -2'
_cell_length_a 4.387
_cell_length_b 26.404
_cell_length_c 7.281
_cell_angle_alpha 90.00
_cell_angle_beta 90.00
_cell_angle_gamma 90.00
loop_
_atom_site_label
_atom_site_fract_x
_atom_site_fract_y
_atom_site_fract_z
Tm1 0.000 0.027 0.000
Tm2 0.000 0.323 0.879
In1 0.000 0.097 0.610
In2 0.000 0.206 0.078
In3 0.000 0.208 0.671
In4 0.000 0.374 0.449
In5 0.000 0.446 0.831
Rh1 0.000 0.112 0.227
Rh2 0.000 0.269 0.372
Rh3 0.000 0.458 0.217
```

---

# 2
Structure and theoretical powder diffractogram of Tm7InRh2 (a GGA-PBE-relaxed structure; Cu Kα (λ = 1.5418 Å)).
Kinematic intensities with the Lorentz-polarization factor, no thermal factor.

Largest 10 diffraction maxima, by angle, 15 to 90 degrees two-theta:
h k l  two_theta  intensity
0 0 1  17.28  83.7
2 0 1  26.75  46.7
1 3 1  28.26  77.2
0 4 1  31.71  60.5
2 4 0  33.49  100.0
1 5 0  34.73  42.7
0 0 2  34.96  92.1
3 1 1  36.00  75.5
3 3 0  36.67  44.9
2 4 2  49.20  70.3

Crystal structure
```
data_Tm7InRh2
_space_group_name_H-M_alt 'C m m m'
_space_group_IT_number 65
_space_group_name_Hall '-C 2 2'
_cell_length_a 8.763
_cell_length_b 13.515
_cell_length_c 5.133
_cell_angle_alpha 90.00
_cell_angle_beta 90.00
_cell_angle_gamma 90.00
loop_
_atom_site_label
_atom_site_fract_x
_atom_site_fract_y
_atom_site_fract_z
Tm1 0.000 0.000 0.000
Tm2 0.000 0.216 0.500
Tm3 0.186 0.371 0.000
In1 0.000 0.500 0.500
Rh1 0.000 0.203 0.000
```

---

# 3
Structure and theoretical powder diffractogram of Tm5In2Rh2 (a GGA-PBE-relaxed structure; Cu Kα (λ = 1.5418 Å)).
Kinematic intensities with the Lorentz-polarization factor, no thermal factor.

Largest 10 diffraction maxima, by angle, 15 to 90 degrees two-theta:
h k l  two_theta  intensity
3 1 2  31.63  53.2
5 1 1  32.36  37.9
4 2 0  32.48  54.6
4 0 2  32.75  47.8
0 2 2  34.05  36.1
4 2 1  34.73  79.4
1 3 1  38.40  49.9
5 1 2  38.82  100.0
0 2 4  55.38  28.2
5 3 3  59.87  28.8

Crystal structure
```
data_Tm5In2Rh2
_space_group_name_H-M_alt 'C m c e'
_space_group_IT_number 64
_space_group_name_Hall '-C 2ac 2'
_cell_length_a 16.258
_cell_length_b 7.502
_cell_length_c 7.394
_cell_angle_alpha 90.00
_cell_angle_beta 90.00
_cell_angle_gamma 90.00
loop_
_atom_site_label
_atom_site_fract_x
_atom_site_fract_y
_atom_site_fract_z
Tm1 0.000 0.000 0.000
Tm2 0.116 0.171 0.334
In1 0.222 0.000 0.000
Rh1 0.000 0.135 0.635
```

---

# 4
'''
Habit #1 Carrying a balance on your credit card.
This can be a good thing for building and maintaining high credit scores as long as the balance does not exceed 50% of the total available credit. If the balance is substantial than an important card feature for this person should be the annual percentage rate or APR. If this person exceeds 50% of there available credit they should either pay it down or get another card and spread the balance out as this can improve their credit. typically you should only use between 30% and 50% of your available credit. The following is a definition of APR. APR stands for annual percentage rate and is the interest that the issuing bank will charge you. Some banks will advertise an introductory APR. Introductory APR's will generally last anywhere from 6 months to 15 months and then your APR will go to a higher APR. Another type of APR is called a variable rate. This type of APR generally fluctuates according to an index such as the prime rate or the 1-, 3- or 6-month treasury bill rate or the federal reserve discount rate or the federal funds rate. You can find these indexes listed online. An important note is not which index your issuing bank chooses but rather the formula they use to determine your rate. These formulas usually look something like this, [ index + margin = rate] or [index x multiple = rate] or [index + margin x multiple = rate]. The margin and multiple can be any #. These formulas can make a huge difference in how much money you pay so be sure to read the fine print so that you can determine how your APR will look over the course of you holding the credit card. These are the two most common types of APR but there are others, So by reading the fine print you can be informed.
Habit # 2 Paying our balance in full every month.
If this is your habit then you want a card that has #1 A grace period that says in essence if you pay your balance in full every month that you will not incur a finance charge. #2 No annual fee. #3 Rewards of some type. After all there are a lot of card issuers competing for your business you might as well be getting rewarded for using their card, and being a good customer. This person should also be aware of a specific use strategy that is outlined in another article I wrote which can be found in the resource section under Credit Card Articles at my web site which is referenced in the author section following this article. The article is entitled "Credit cards the secrets on how they affect your credit" if this is your habit, seriously, read this, it could mean the difference between good credit and bad credit.
Habit/Circumstance # 3 Traveling
Many people travel often and and don't have a rewards card that rewards them with free air travel. If this is you consider a program that offers compensation for things put on the card in the way of air travel, some of these programs can be generous and offer securities for the traveler. A friend of mine received enough air miles from his normal card usage to take his family of 5 on a vacation to Hawaii from california and he didn't pay a dime on airfare. A few things to remember about these cards is #1 They often have an annual fee generally ranging from $25 to $75 but if you use your card enough and travel enough this is not a factor. #2 Some of them have a slightly higher annual percentage rate but they may also have a grace period so if you pay your balance in full every month than this is not a factor. #3 As in the case with applying with any credit card, please , read the fine print. I just got off the phone with a friend of mine that told me a story that I have heard so many times before, when he was young he got a credit card and didn't read the fine print. Well as you can imagine he used his card in such a way that he incurred fees that he was not able to pay off in a timely manner. Credit cards need to be used properly, when this is done good credit results and thus a position of financial leverage can be attained, when they are used inappropriately bad credit results along with regrets and financially challenging circumstances.
Habit # 4 We shop at specific places over and over again.
If we get gas at the same gas station every week or we drink starbucks every day or we go to disneyland every month
or we buy books from boarders books every... and the list goes on. If this is us we should try and find a credit card that givesn us in the ball park of %1 to %10 percent back toward purchases at our store of interest, others will give1% to 5% cash back on our card for purchases at select stores. Right now the buzz is all about cards that give %1 to %10 back toward gas purchases. With the way gas prices have been rising this is not a bad idea. Some of these cards will also have other great features like no annual fee. and possibly a low introductory APR.
Habit #5 We are sometimes late on our bills.
Many of the credit card issuing banks will raise your APR sharply if you are late on even one payment.
No. 1
Structure and simulated powder diffractogram of Nd3ThCd4 (a DFT-relaxed cell (PBE, Alexandria); λ = 1.5418 Å (Cu Kα)).
Kinematic intensities with the Lorentz-polarization factor, no thermal factor.

Atomic structure:
Cell lengths 10.891, 7.704, 5.447 Å; angles 90.00, 90.00, 90.00 degrees
Element x y z (fractional)
Nd  0.000  0.000  0.000
Nd  0.250  0.000  0.497
Nd  0.250  0.500  0.497
Nd  0.500  0.000  0.000
Nd  0.750  0.000  0.503
Nd  0.750  0.500  0.503
Th  0.000  0.500  0.000
Th  0.500  0.500  0.000
Cd  0.000  0.249  0.500
Cd  0.000  0.751  0.500
Cd  0.250  0.249  0.997
Cd  0.250  0.751  0.997
Cd  0.500  0.249  0.500
Cd  0.500  0.751  0.500
Cd  0.750  0.249  0.003
Cd  0.750  0.751  0.003

Peak list (10 most intense, 15° ≤ 2θ ≤ 90°, low angle first)
| 2θ/deg | I (rel.) |
| --- | --- |
| 20.0 | 1 |
| 23.1 | 4 |
| 32.9 | 100 |
| 40.6 | 1 |
| 47.2 | 18 |
| 53.2 | 2 |
| 58.7 | 37 |
| 69.0 | 11 |
| 78.5 | 16 |
| 87.8 | 4 |



No. 2
Structure and simulated powder diffractogram of K3SmF8 (a DFT-relaxed cell (PBE, Alexandria); λ = 1.5418 Å (Cu Kα)).
Kinematic intensities with the Lorentz-polarization factor, no thermal factor.

Atomic structure:
Cell lengths 7.529, 7.529, 7.529 Å; angles 132.59, 132.59, 69.31 degrees
Element x y z (fractional)
K  0.000  0.000  0.000
K  0.250  0.750  0.500
K  0.750  0.250  0.500
Sm  0.500  0.500  0.000
F  0.167  0.167  0.558
F  0.167  0.610  0.000
F  0.390  0.390  0.558
F  0.390  0.833  0.000
F  0.610  0.167  0.000
F  0.610  0.610  0.442
F  0.833  0.390  0.000
F  0.833  0.833  0.442

Peak list (10 most intense, 15° ≤ 2θ ≤ 90°, low angle first)
| 2θ/deg | I (rel.) |
| --- | --- |
| 16.3 | 62 |
| 20.7 | 13 |
| 25.3 | 100 |
| 39.8 | 12 |
| 41.7 | 56 |
| 42.2 | 27 |
| 49.0 | 15 |
| 49.9 | 35 |
| 66.6 | 12 |
| 76.8 | 13 |

----------

Computed X-ray powder pattern
Compound: TeOs2
Radiation: copper Kα
Structure: the PBE geometry in OQMD
Lines closer than 0.1° are merged.

Cell and atoms:
```
TeOs2
1.0
0.000 3.779 3.779
3.779 0.000 3.779
3.779 3.779 0.000
Te Os
2 4
Direct
0.125 0.125 0.125
0.875 0.875 0.875
0.000 0.500 0.500
0.500 0.000 0.500
0.500 0.500 0.000
0.500 0.500 0.500
```

The 6 most intense peaks (10 to 90 degrees two-theta), by angle:
20.35°, 4.364 Å, rel. 23; 39.54°, 2.279 Å, rel. 100; 41.38°, 2.182 Å, rel. 55; 64.00°, 1.455 Å, rel. 33; 70.47°, 1.336 Å, rel. 30; 85.14°, 1.140 Å, rel. 21

----------

No. 1
For Sr2CoH6Pd, a crystal structure in Alexandria, relaxed with GGA-PBE gives the theoretical PXRD pattern in this record (Cu Kα, 1.54184 Å).
Peak positions follow from Bragg's law for the DFT cell and can differ from measured ones.

Peak list (10 most intense, 2θ from 10° to 90°, by intensity)
2θ/deg, I_rel
33.40, 100
33.98, 95
34.10, 94
59.98, 36
60.22, 35
61.33, 33
47.76, 19
48.14, 18
49.84, 16
83.19, 14

Crystal structure
Lattice parameters (Å, degrees): 5.366 5.282 5.262 61.19 59.59 59.22
Fractional positions:
Sr  0.250  0.250  0.250
Sr  0.750  0.750  0.750
Co  0.000  0.000  0.000
Some times the due date for payment will not only have a day but also a time such as 1:00 pm. If your 1 minute late your rate is going up as if you had power over when the mail is delivered. If this is you be careful. Just a note, this can happen to anyone after all, unforeseen occurrences happen every day. If this does happen to you its not the end of the world. Usually issuing banks will not report to the credit bureau's for thirty days after the due date so as long as you pay before then you will be OK. You may have a higher APR but your credit won't be hurt and that's the thing you really don't want to happen. On this last point don't take my word for it, find out from the issuing bank what their policy is regarding reporting and select a card accordingly. Trust me this is an important feature to know about
Circumstance #6 Challenged Credit or no credit or never had a credit card before.
If this is you consider a credit card for rebuilding credit such as a secured card. With this type of card you deposit money into an account and then you are given a card that is equal to your deposit, in this way you can not exceed your limit, and just about anyone can qualify for this type of credit card, as well as this you have an opportunity to build credit history, and if you use your card appropriately and pay on time, often times the issuing bank will turn this secured card into an unsecured card. This can be a very affective way to reestablish credit or attain a credit card for the first time.
Circumstance #7 we have an existing balance on a credit card
Maybe we have balance of $9,000 on a credit card, and we made one late payment on it, and the interest went through the roof however we still have good credit, and we are a good customer overall other than that one late payment. We might consider a balance transfer credit card. Things we want to look for are #1 if there is a fee for transferring a balance to the new card and how much #2 is the balance transfers' APR fixed for the life of the balance or will it go up after 6 months to a year, even if it does go up after 6 months this might be a good strategy if we plan to pay it off before then or if we plan to transfer it again, and sometimes these APR's that go up after 6 months to a year can be 0%. This could make sense even if our APR was low on our previous credit card because you just can't beat 0%.
Circumstance #8 We have excellent credit
Then we should be able to find a credit card that has all the features we can reasonably expect at rates that are extremely competitive.
Circumstance #10 we are a student.
Students should consider student credit cards because if they have never had a credit card before they will have a better chance of attaining a student credit card as the issuers give students more leeway. Studies have found that students are often more responsible with credit cards than other youths and are more likely to pay what they owe.
Hopefully this article was helpful. I know that this article did not and could not address every concern facing us when considering how to choose a credit card but these are some of the most asked about topics when it comes to the subject. There are many cards out there that are hybrids and will encompass many habits and circumstances, So then we may not be isolated to one circumstance or habit. If you need more information regarding credit cards credit scores rebuilding credit ext.. Please visit my web sites resource center , You can find the web site address in the author box bellow.